Venture Capitalist Paul Graham Condemns Modern System of Heretic Hunting

Many of the builders of the modern internet are beginning to reflect on the odious direction of the modern culture the internet has spawned. Recently, we saw Jack Dorsey come out and say that he regrets his role in transforming the internet into what it is today. Elon Musk is becoming more vocal. Peter Thiel remains vocal.

Paul Graham is a British programmer and tech industry venture capitalist. Along with writing his own programming language, as a founder of Y Combinator, he provided seed funding for reddit.

He is also an essayist, responsible for the “Hierarchy of Disagreement” pyramid that was widely used by redditors in ye olden days.

Along with reddit, he seed-funded such companies as Dropbox and Airbnb. He’s a very influential figure in terms of technology and capital allocation.

Last week, he published an essay effectively denouncing the entirety of the modern culture, most or all of which is a result of the internet landscape which has been hijacked and redirected from its original purpose by nefarious forces. This shift from such a prominent figure in the tech industry is an omen of the direction that the key players in the founding of the modern internet, who still have the money, are moving in.

In a post called “Heresy,” he writes on his website:

One of the most surprising things I’ve witnessed in my lifetime is the rebirth of the concept of heresy.

In his excellent life of Newton, Richard Westfall writes about the moment when he was elected a fellow of Trinity College:Supported comfortably, Newton was free to devote himself wholly to whatever he chose. To remain on, he had only to avoid the three unforgivable sins: crime, heresy, and marriage.

The first time I read that, in the 1990s, it sounded amusingly medieval. How strange, to have to avoid committing heresy. But when I reread it 20 years later it sounded like a description of contemporary employment.

There are an ever-increasing number of opinions you can be fired for. Those doing the firing don’t use the word “heresy” to describe them, but structurally they’re equivalent. Structurally there are two distinctive things about heresy: (1) that it takes priority over the question of truth or falsity, and (2) that it outweighs everything else the speaker has done.

For example, when someone calls a statement “x-ist,” they’re also implicitly saying that this is the end of the discussion. They do not, having said this, go on to consider whether the statement is true or not. Using such labels is the conversational equivalent of signalling an exception. That’s one of the reasons they’re used: to end a discussion.

If you find yourself talking to someone who uses these labels a lot, it might be worthwhile to ask them explicitly if they believe any babies are being thrown out with the bathwater. Can a statement be x-ist, for whatever value of x, and also true? If the answer is yes, then they’re admitting to banning the truth. That’s obvious enough that I’d guess most would answer no. But if they answer no, it’s easy to show that they’re mistaken, and that in practice such labels are applied to statements regardless of their truth or falsity.

The clearest evidence of this is that whether a statement is considered x-ist often depends on who said it. Truth doesn’t work that way. The same statement can’t be true when one person says it, but x-ist, and therefore false, when another person does.

The other distinctive thing about heresies, compared to ordinary opinions, is that the public expression of them outweighs everything else the speaker has done. In ordinary matters, like knowledge of history, or taste in music, you’re judged by the average of your opinions. A heresy is qualitatively different. It’s like dropping a chunk of uranium onto the scale.

Back in the day (and still, in some places) the punishment for heresy was death. You could have led a life of exemplary goodness, but if you publicly doubted, say, the divinity of Christ, you were going to burn. Nowadays, in civilized countries, heretics only get fired in the metaphorical sense, by losing their jobs. But the structure of the situation is the same: the heresy outweighs everything else. You could have spent the last ten years saving children’s lives, but if you express certain opinions, you’re automatically fired.

It’s much the same as if you committed a crime. No matter how virtuously you’ve lived, if you commit a crime, you must still suffer the penalty of the law. Having lived a previously blameless life might mitigate the punishment, but it doesn’t affect whether you’re guilty or not.

**Between two parts of the piece: materials data:**
- - -
12
Lattice="-3.4845 -4.6829 5.1125 -5.7165 -4.8327 -2.3175 1.1786 -7.6676 -0.1657" Properties=species:S:1:pos:R:3 comment="NbSeI, optimized geometry, DFT GGA-PBE" magmom_total_mub_per_fu=0.5 formation_energy_ev_per_atom=-0.86 corrected_energy_ev_per_cell=-70.9 pbc="T T T"
I -1.0349 -2.2123 0.3367
I -3.8046 -4.5537 -0.7862
I -2.7442 -4.4703 2.8430
I -0.4395 -5.9455 0.2343
Se -5.6576 -6.8471 1.7377
Se -5.1069 -10.8567 1.6275
Se -2.0376 -8.2619 2.8718
Se -3.2481 -8.3893 -0.9896
Nb -2.7986 -9.9022 1.0564
Nb -3.2020 -6.8746 1.0587
Nb -5.4979 -8.8156 0.1279
Nb -4.5406 -8.7872 3.0281

10
Lattice="-6.4753 -2.9025 0.3452 5.4674 -4.1471 -1.8390 0.7501 -4.5437 6.6907" Properties=species:S:1:pos:R:3 comment="NbSe2I2, optimized geometry, DFT GGA-PBE" formation_energy_ev_per_atom=-0.72 corrected_energy_ev_per_cell=-47.5 pbc="T T T"
Nb -5.0216 -3.0540 0.0793
Nb 4.0137 -3.9956 -1.5731
Se -0.5967 -5.3207 -0.2311
Se 0.4012 -4.1294 4.5467
Se -0.6589 -7.4639 0.6503
Se 0.3390 -6.2726 5.4280
I 2.2447 -9.2564 3.6247
I 2.3743 -2.8451 0.6804
I -2.6320 -8.7482 4.5166
I -2.5024 -2.3369 1.5723

106
Lattice="9.7871 0.0000 0.0000 0.0000 9.7871 0.0000 0.0000 0.0000 32.3533" Properties=species:S:1:pos:R:3 comment="Nb10Se40I3, optimized geometry, DFT GGA-PBE" magmom_total_mub_per_fu=0.2 formation_energy_ev_per_atom=-0.58 corrected_energy_ev_per_cell=-552.8 pbc="T T T"
I 0.0000 0.0000 2.6002
I 0.0000 0.0000 29.7531
I 0.0000 0.0000 18.7769
I 4.8936 4.8936 24.2650
I 0.0000 0.0000 13.5765
I 4.8936 4.8936 8.0883
Se 6.9982 0.3546 22.5648
Se 8.5609 6.6540 3.1352
Se 2.9841 1.0188 0.0000
Se 6.8030 8.7683 0.0000
Se 1.2262 3.1331 29.2182
Se 5.3883 2.0553 19.5148
Se 6.6540 1.2262 29.2182
Se 1.2262 3.1331 3.1352
Se 2.9841 8.7683 16.1767
Se 5.3883 7.7318 29.0152
Se 2.7889 9.4325 22.5648
Se 0.3546 6.9982 6.3882
Se 5.0647 2.1392 0.0000
Se 3.1331 1.2262 13.0415
Se 5.0647 7.6479 16.1767
Se 8.5609 6.6540 29.2182
Se 6.9982 0.3546 9.7885
Se 2.0553 5.3883 29.0152
Se 1.8309 3.7251 6.5921
Se 0.3546 2.7889 22.5648
Se 3.1331 1.2262 19.3118
Se 7.7318 4.3988 3.3381
Se 3.1331 8.5609 3.1352
Se 7.9562 6.0620 25.7612
Se 2.1392 4.7224 0.0000
Se 5.3883 7.7318 3.3381
Se 7.6479 4.7224 16.1767
Se 2.1392 5.0647 16.1767
Se 2.0553 4.3988 12.8385
Se 4.7224 2.1392 16.1767
Se 4.3988 2.0553 29.0152
Se 2.7889 9.4325 9.7885
Se 6.0620 1.8309 6.5921
Se 2.0553 4.3988 19.5148
Se 3.7251 7.9562 6.5921
Se 9.4325 6.9982 22.5648
Se 3.7251 7.9562 25.7612
Se 7.7318 4.3988 29.0152
Se 6.6540 8.5609 19.3118
Se 1.8309 6.0620 22.7688
Se 8.7683 2.9841 0.0000
Se 1.8309 3.7251 25.7612
Se 1.8309 6.0620 9.5845
Se 2.0553 5.3883 3.3381
Se 2.7889 0.3546 6.3882
Se 9.4325 2.7889 25.9652
Se 7.9562 3.7251 9.5845
Se 1.2262 6.6540 13.0415
Se 4.3988 2.0553 3.3381
Se 6.0620 7.9562 9.5845
Se 7.7318 5.3883 19.5148
Se 7.7318 5.3883 12.8385
Se 6.9982 9.4325 6.3882
Se 1.0188 6.8030 0.0000
Se 7.9562 3.7251 22.7688
Se 9.4325 2.7889 6.3882
Se 8.5609 3.1331 13.0415
Se 1.0188 2.9841 16.1767
Se 6.8030 1.0188 16.1767
Se 6.6540 1.2262 3.1352
Se 6.6540 8.5609 13.0415
- - -
**The piece goes on:**

A heresy is an opinion whose expression is treated like a crime — one that makes some people feel not merely that you’re mistaken, but that you should be punished. Indeed, their desire to see you punished is often stronger than it would be if you’d committed an actual crime. There are many on the far left who believe strongly in the reintegration of felons (as I do myself), and yet seem to feel that anyone guilty of certain heresies should never work again.

There are always some heresies — some opinions you’d be punished for expressing. But there are a lot more now than there were a few decades ago, and even those who are happy about this would have to agree that it’s so.

What comes next are crystal structures, not part of the piece =
┌──
1.
Computed, not measured: a geometry-optimized MnZnF6 structure at the PBE+U level of DFT.

Output
Space-group type: R-3

Cell: 5.4011 5.4011 5.4011 Å, 58.30 58.30 58.30°
Fractional coordinates of all 8 atoms:
F1 0.8531 0.2357 0.6727
F2 0.2357 0.6727 0.8531
F3 0.1469 0.7643 0.3273
F4 0.3273 0.1469 0.7643
F5 0.7643 0.3273 0.1469
F6 0.6727 0.8531 0.2357
Mn1 0.0000 0.0000 0.0000
Zn1 0.5000 0.5000 0.5000

=====

2.
Computed, not measured: a geometry-optimized Li3V3P8O29 structure at the PBE+U level of DFT.

Output
Space-group type: P1

Cell: 9.7395 9.7773 14.2636 Å, 89.52 89.61 60.18°
Fractional coordinates of all 86 atoms:
O1 0.6725 0.8110 0.8265
O2 0.3304 0.3344 0.0265
O3 0.3286 0.1874 0.1748
O4 0.2057 0.8015 0.0773
O5 0.0089 0.7828 0.9295
O6 0.9154 0.7412 0.1709
O7 0.7989 0.9943 0.2580
O8 0.3408 0.4818 0.6756
O9 0.6641 0.6576 0.4704
O10 0.4853 0.1811 0.6761
O11 0.3495 0.9124 0.1688
O12 0.7935 0.2138 0.9181
O13 0.6201 0.9209 0.1708
O14 0.2090 0.7982 0.2559
O15 0.5179 0.6700 0.8260
O16 0.3387 0.7432 0.6669
O17 0.6680 0.6598 0.9746
O18 0.0054 0.7673 0.5760
O19 0.9817 0.2386 0.0649
O20 0.3803 0.0831 0.8278
O21 0.8146 0.6590 0.3221
O22 0.1866 0.3411 0.6800
O23 0.0775 0.5362 0.8288
O24 0.8050 0.9948 0.0783
O25 0.0928 0.3801 0.3232
O26 0.5337 0.3822 0.8295
O27 0.7857 0.2023 0.7405
O28 0.2583 0.0819 0.3374
O29 0.9924 0.2276 0.4199
O30 0.2424 0.7530 0.4302
O31 0.5166 0.8196 0.3262
O32 0.4617 0.6185 0.1684
O33 0.7571 0.2518 0.5674
O34 0.3371 0.3366 0.5303
O35 0.0822 0.2607 0.8344
O36 0.0127 0.2000 0.2417
O37 0.9143 0.4715 0.1729
O38 0.6578 0.5201 0.3225
O39 0.0850 0.6569 0.3357
O40 0.3811 0.5218 0.3198
O41 0.5229 0.0960 0.3193
O42 0.4812 0.3313 0.1738
O43 0.4782 0.9037 0.6823
O44 0.6582 0.2600 0.3347
O45 0.7418 0.9185 0.6624
O46 0.9930 0.7984 0.7527
O47 0.2034 0.0016 0.9218
O48 0.2560 0.9822 0.5644
O49 0.2002 0.0119 0.7409
O50 0.2564 0.6520 0.8304
O51 0.8156 0.5113 0.8286
O52 0.9133 0.3452 0.6670
O53 0.1854 0.4827 0.1769
O54 0.7432 0.3454 0.1699
O55 0.6169 0.4813 0.6799
O56 0.6548 0.0861 0.8348
O57 0.7475 0.0177 0.4350
O58 0.9044 0.6207 0.6777
P1 0.9122 0.7752 0.6604
P2 0.6618 0.6658 0.3662
P3 0.3190 0.9109 0.6575
P4 0.2302 0.6802 0.3407
P5 0.6714 0.6619 0.8709
P6 0.0874 0.2255 0.3375
P7 0.9161 0.3146 0.1563
P8 0.7836 0.9165 0.1613
P9 0.6927 0.2224 0.8386
P10 0.3279 0.3377 0.1300
P11 0.3413 0.3338 0.6343
P12 0.3049 0.7806 0.1593
P13 0.6812 0.0907 0.3426
P14 0.0799 0.6922 0.8437
P15 0.7668 0.3233 0.6578
P16 0.2176 0.0848 0.8390
Li1 0.9091 0.3231 0.9433
Li2 0.2246 0.6853 0.5560
Li3 0.6931 0.0839 0.5593
Li4 0.0146 0.9434 0.0075
Li5 0.3106 0.9158 0.4378
Li6 0.7734 0.3175 0.4396
V1 0.9986 0.5681 0.2516
V2 0.4358 0.0045 0.2429
V3 0.5623 0.4339 0.2416
V4 0.5649 0.9959 0.7582
V5 0.0028 0.4350 0.7464
V6 0.4353 0.5691 0.7589

=====

3.
Computed, not measured: a geometry-optimized Co6Ge2C19O19 structure at the PBE+U level of DFT.

Output
Space-group type: Cmce

Cell: 11.0779 11.0779 26.6671 Å, 90.00 90.00 109.12°
Fractional coordinates of all 184 atoms:
└──

Why? Why has this antiquated-sounding religious concept come back in a secular form? And why now?

You need two ingredients for a wave of intolerance: intolerant people, and an ideology to guide them. The intolerant people are always there. They exist in every sufficiently large society. That’s why waves of intolerance can arise so suddenly; all they need is something to set them off.

I’ve already written an essay describing the aggressively conventional-minded. The short version is that people can be classified in two dimensions according to (1) how independent- or conventional-minded they are, and (2) how aggressive they are about it. The aggressively conventional-minded are the enforcers of orthodoxy.

Normally they’re only locally visible. They’re the grumpy, censorious people in a group — the ones who are always first to complain when something violates the current rules of propriety. But occasionally, like a vector field whose elements become aligned, a large number of aggressively conventional-minded people unite behind some ideology all at once. Then they become much more of a problem, because a mob dynamic takes over, where the enthusiasm of each participant is increased by the enthusiasm of the others.

It’s very encouraging to see someone so influential communicating these ideas in such a direct (although polite) way.

Between two parts of the entry: data records =
____________
a) Below is Li2VF5 after structural relaxation, with properties calculated at the GGA+U level.

Calculated values
ρ: 3.023 g cm⁻³
magnetization: 2.0 μB per formula unit

```
Li2VF5
1.0
-4.5264 2.5951 0.9759
-5.5543 -5.4162 -11.3593
-5.4629 -11.8955 6.2951
V F Li
12 60 24
Cartesian
-7.2675 -3.1722 -3.5072
-7.3755 -8.4596 -4.6126
-4.6352 -5.7303 1.0750
-8.1682 -6.2570 0.5243
-6.7236 -5.4258 -8.5433
-5.5341 -8.8162 5.1061
-10.9085 -8.9863 -5.1633
-8.2762 -11.5444 -0.5811
-10.0095 -5.9004 -9.1944
-11.9095 -11.8199 -1.1573
-8.8200 -9.2908 4.4550
-3.6341 -2.8967 -2.9310
-4.1824 -7.6088 1.5249
-10.6527 -13.5029 -4.4248
-4.0157 -3.9898 -4.7325
-10.6491 -7.2278 -3.1062
-9.3688 -9.2239 -6.2959
-9.0846 -9.7556 -0.4286
-9.5222 -12.5575 0.5145
-8.2511 -3.5876 -5.2174
-6.2217 -4.6464 -6.7852
-6.1748 -5.4927 2.2076
-6.5372 -5.5732 -0.3749
-4.8909 -1.2137 0.3365
-8.4756 -6.8505 -4.9451
-10.8533 -10.8186 -4.5309
-7.4242 -3.1530 1.1066
-9.3219 -10.0702 2.6969
-7.5565 -2.1408 -1.6481
-8.4353 -5.9373 -7.7370
-4.1081 -0.9916 -3.0414
-10.4334 -4.5939 -7.3900
-11.4355 -13.7250 -1.0469
-8.1194 -11.5636 -5.1950
-8.0265 -5.9906 -10.1462
-7.2926 -11.1290 1.1291
-6.9145 -7.5726 -2.9112
-1.8355 -3.3115 1.6219
-7.0680 -7.8661 0.8567
-4.5201 1.2805 1.3518
-7.5171 -8.7260 6.0578
-12.8826 -12.3291 -2.8138
-9.9622 -7.8075 -8.6679
-7.9871 -12.5758 -2.4402
-8.7140 -4.2228 -2.6586
-9.5228 -7.2811 1.4606
-4.6903 -3.8980 0.4426
-5.5814 -6.9091 4.5795
-2.6610 -2.3875 -1.2745
-6.5146 0.1963 -2.8204
-5.1102 -10.1227 3.3017
-6.0215 -2.1591 -4.6029
-11.3612 -7.1078 -5.6132
-3.5716 -5.1889 2.6465
-11.9721 -9.5277 -6.7348
-6.0208 -7.4355 -5.5490
-4.9543 -4.8068 -9.1374
-5.4197 -3.1681 -2.1925
-6.4591 -4.9610 -3.6597
-8.2161 -11.0786 4.8352
-13.7081 -11.4051 -5.7102
-11.5279 -10.7268 0.6442
-9.0064 -9.1434 -3.7135
-10.5893 -9.9098 5.0490
-10.1239 -11.5485 -1.8958
-7.3275 -3.6380 -8.9235
-6.8296 -10.4938 -1.4297
-7.1083 -8.7793 3.6487
-11.0235 -15.9971 -5.4402
-8.6291 -7.1440 -1.1771
-9.0290 -14.9129 -1.2679
-4.8946 -7.4888 -0.9821
-12.2990 -12.0706 -4.5714
-8.5813 -6.2257 -2.9826
-9.2758 -5.4119 -5.8820
-7.5436 -2.9322 -6.9813
-7.0506 -5.7942 3.9445
-5.6210 -5.5839 -5.2829
-9.3888 -11.8157 -3.8119
-10.3247 -14.7520 -2.8842
-9.9226 -9.1327 1.1946
-4.6839 -2.5819 -6.0412
-1.4050 -0.1615 -0.4697
-6.9623 -8.4909 -1.1057
-6.2399 -3.2678 2.7910
-10.8597 -12.1347 1.9529
-8.4931 -8.9224 -8.0328
-8.0000 -11.7844 2.8930
-6.1549 -2.9009 -0.2765
-3.2447 -2.6460 0.4831
-9.3037 -11.4488 -6.8793
-5.2189 0.0354 -1.2041
-14.1387 -14.5551 -3.6186
-5.5857 -6.2889 -2.3813
-6.2678 -9.3047 1.7937
-9.9580 -8.4277 -1.7071
```



b) Below is Li2VF5 after structural relaxation, with properties calculated at the GGA+U level.

Calculated values
ρ: 2.678 g cm⁻³
magnetization: 2.0 μB per formula unit

```
Li2VF5
1.0
6.3987 0.0000 0.0000
0.0000 7.6199 0.0000
0.0000 0.0000 8.1299
V F Li
4 20 8
Cartesian
1.7116 5.6919 5.2703
1.4877 1.9280 1.2054
4.9110 5.7379 2.8596
4.6871 1.8820 6.9245
0.5401 1.8888 2.8895
____________

We may be at the beginning of a shift. People with money and power who are not directly connected to the weirdo pervert technocratic establishment are finally beginning to see that we have created a world that will not be suitable for anyone’s children, and that we need to not only hit the brakes on the cultural transformation, but shift to reverse.

Everything is a culture war. Obviously, it’s well understood that economics is the backbone of any society, but the direction of any society is driven by culture. Everything that is happening, the world over, can be framed in terms of this culture war.

The lines of the war are very simple: it is the heretic-hunters that Graham identifies versus everyone else. I’m certain I don’t agree with everything Graham believes, but we are now nonetheless on the same side in that we oppose the enforcement of a strict social and cultural orthodoxy, which crushes human freedom.

Just so, one might not agree with everything going on in Russia, China, or India, but they are nonetheless standing in opposition to this emerging global uniculture, which demands absolute adherence to a very strict set of rules regarding the norms of social interactions.

These norms being enforced all lead in the single direction of the establishment of a new global order which an unimpeachable financial and political elite sits atop, by a kind of divine right of moral virtue – adherence to a cultural system they themselves created for the purpose of the suppression of free thought and free behavior. This allows them to do literally anything they want by invoking heresies and stirring up moral panic, as an army of true believers will march against anyone who dares question their orthodoxy.

What they have done is hacked the moral fabric of the human psyche, replacing the in-born drive toward a religious social consensus with a secular pseudo-religious doctrine that exists in a vacuum and can therefore be reshaped and redirected at will by those who control the media and governments of the West.

This has all been obvious for quite a while, but people who were in denial about it, or were simply not paying close enough attention, are reaching the point where they realize they need to pick sides. For my part, I will align with anyone who is against the dominant Western authoritarian secular morality system, regardless of any other disagreements I may have with them.